(Given)
+++
Density functional theory data (ωB97M-V/def2-TZVPD) for a cluster of 5 separate species, C28H52Cl8F3NO8S in total at a distorted geometry.

XYZ file:
```
101
Properties=species:S:1:pos:R:3:lowdin_charge:R:1
C 4.78437 -2.81573 -0.70593 -0.102
N 4.11171 -2.18465 -1.84339 -0.092
C 3.84554 -0.76817 -1.67588 -0.148
C 2.30949 -0.46476 -1.47974 -0.313
C 1.65483 -0.65923 -2.87724 -0.009
C 0.64079 -1.82773 -2.99613 -0.247
O -0.37618 -1.77460 -2.03704 0.026
C 1.27459 -3.22662 -3.08886 -0.643
F 2.30577 -3.23586 -3.91127 0.163
F 0.37810 -4.04188 -3.65897 0.145
F 1.57275 -3.75229 -1.93085 0.189
O 1.92636 -1.35554 -0.41498 -0.131
S 2.33262 -0.70072 0.99539 0.617
O 3.62392 -1.01934 1.49065 -0.219
O 1.36492 -0.83417 2.01345 -0.194
O 2.45541 0.80818 0.46924 -0.123
C 2.10020 0.98229 -0.94556 -0.414
C 0.60866 1.41876 -0.82195 -0.065
C 0.47576 2.79641 -0.11444 -0.145
C 0.23365 2.73048 1.40882 -0.140
C -1.02818 1.95134 1.79697 -0.180
O -0.75335 1.21889 3.00712 -0.038
C -1.83917 0.42963 3.30284 -0.552
C -1.90425 -0.87501 2.50834 0.010
O -2.63510 0.73878 4.08002 0.174
O 3.02593 1.92111 -1.35034 -0.035
C 2.69121 2.60297 -2.55564 -0.152
C 3.79845 3.64583 -2.81829 -0.309
C 3.52743 4.90760 -1.97907 -0.062
C 5.24115 3.06490 -2.71631 -0.143
C 6.04583 3.42700 -1.46168 -0.388
C 7.55775 3.15820 -1.82602 -0.076
C 5.73417 2.55160 -0.22387 -0.060
H 5.10237 -3.82097 -1.00570 0.084
H 5.65058 -2.24355 -0.34899 0.087
H 4.04853 -2.97647 0.08208 0.064
H 4.58327 -2.37921 -2.71424 0.109
H 4.41847 -0.39114 -0.81629 0.106
H 4.21626 -0.20218 -2.54070 0.125
H 1.11227 0.24503 -3.15831 0.113
H 2.44923 -0.81224 -3.60940 0.126
H 0.14546 -1.69945 -3.96609 0.164
H -0.13736 -2.29521 -1.25526 0.105
H 0.18233 1.54121 -1.82439 0.118
H 0.10574 0.60095 -0.30197 0.118
H 1.33177 3.43371 -0.34307 0.098
H -0.41910 3.27391 -0.53790 0.121
H 1.06881 2.27268 1.94778 0.114
H 0.20357 3.76790 1.76211 0.117
H -1.80133 2.68574 2.06404 0.044
H -1.37215 1.27293 1.00656 0.119
H -1.77919 -1.74854 3.14745 0.084
H -1.17487 -0.83211 1.69639 0.057
H -2.88882 -0.92049 2.03514 0.025
H 1.76141 3.18244 -2.46505 0.123
H 2.59336 1.94403 -3.42896 0.130
H 3.65097 3.93569 -3.86964 0.134
H 2.60678 5.36259 -2.37081 0.082
H 4.31120 5.66295 -2.05369 0.079
H 3.30892 4.63930 -0.93898 0.080
H 5.80773 3.43901 -3.58004 0.114
H 5.16614 1.97881 -2.86141 0.109
H 6.00439 4.48034 -1.17452 0.117
H 8.12505 2.90139 -0.93024 0.063
H 7.95894 4.03778 -2.33594 0.074
H 7.57124 2.27779 -2.47992 0.075
H 4.93782 3.00361 0.38040 0.078
H 6.60551 2.38813 0.41537 0.071
H 5.35984 1.56127 -0.50210 0.058
Cl -5.21201 -1.86954 1.11674 0.586
C -6.47181 -0.61250 1.07972 -0.647
C -6.44722 0.16729 -0.21111 -0.681
Cl -4.98440 1.17384 -0.35082 0.510
H -6.32456 0.03570 1.94127 0.058
H -7.43178 -1.11608 1.19060 0.076
H -7.30463 0.83899 -0.25079 0.043
H -6.48652 -0.48811 -1.07853 0.069
Cl -6.87083 2.98713 1.42155 0.577
C -6.45383 4.63738 1.94008 -0.641
C -5.14138 5.09761 1.35502 -0.646
Cl -3.75193 4.20419 2.02728 0.599
H -6.43525 4.65433 3.02758 0.071
H -7.25695 5.29098 1.60141 0.073
H -4.98554 6.15015 1.58924 0.073
H -5.12223 4.98066 0.27346 0.069
Cl -8.35169 -4.13908 3.69255 0.532
C -6.67250 -4.69772 3.47126 -0.673
C -6.49685 -5.49235 2.20242 -0.686
Cl -7.32637 -7.07259 2.26669 0.530
H -6.39277 -5.27864 4.34789 0.068
H -6.04558 -3.80695 3.43364 0.048
H -5.44095 -5.69828 2.04068 0.001
H -6.87561 -4.94997 1.33873 0.064
Cl -1.84447 -4.77731 1.65666 0.550
C -2.10690 -6.03449 2.88769 -0.665
C -2.23914 -7.41001 2.28621 -0.645
Cl -3.73929 -7.57034 1.33839 0.575
H -2.99578 -5.76252 3.45368 0.062
H -1.25121 -6.00630 3.56133 0.075
H -2.27781 -8.15301 3.08198 0.075
H -1.40318 -7.65131 1.63336 0.069
```

Summary:
highest occupied orbital energy	-0.333	Ha
SMILES	CNC[C@@]1(C[C@H](O)C(F)(F)F)OS(=O)(=O)O[C@@]1(CCCCOC(C)=O)OC[C@@H](C)CC(C)C.ClCCCl.ClCCCl.ClCCCl.ClCCCl
LUMO level	0.3	eV
total charge	0
F_max	0.0790	Eh/bohr
gap between HOMO and LUMO	9.34	eV

* * * * *

# 1
# C20H91FN2O41S
+++

(Exercise)
Repeat the part of the block earlier on that starts with the line with "5.80773 3.43901" and stops after the one with "-6.47181 -0.61250".

(Solution)
H 5.80773 3.43901 -3.58004 0.114
H 5.16614 1.97881 -2.86141 0.109
H 6.00439 4.48034 -1.17452 0.117
H 8.12505 2.90139 -0.93024 0.063
H 7.95894 4.03778 -2.33594 0.074
H 7.57124 2.27779 -2.47992 0.075
H 4.93782 3.00361 0.38040 0.078
H 6.60551 2.38813 0.41537 0.071
H 5.35984 1.56127 -0.50210 0.058
Cl -5.21201 -1.86954 1.11674 0.586
C -6.47181 -0.61250 1.07972 -0.647